We Are One

September 7, 2017

Fires, hurricanes, floods, full moon, sunshine, health challenges, and adventures. Today, I acknowledge that at any moment we can be experiencing any number of physical and emotional events! I offer The Radical Forgiveness Invocation to awaken our sense of unity as spiritual beings having a human experience.

The Radical Forgiveness Invocation, by Crow Dancing 

May we all stand firm

In the knowledge and comfort

That all things are now, have always been, and forever will be in Divine order. read more

Thanks, Louise Hay

August 30, 2017

Louise Hay passed away today. Her work gave language and acceptance to self-love as a path to loving others. It was my sister, Claudia, who first shared Louise’s words with me. I remember taking the cassette tape into bed and listening, with amused astonishment, to that deep, soothing voice enticing me to be grateful for every little thing in my life. At the time, it actually seemed a bit silly to be thankful for the morning light, and for my body’s basic functions, and for water, and breathing. Her visualization of walking to the ocean of abundance to scoop up goodness, asking, “What are you using, a teaspoon?!!” really jarred me. Aghast, I noticed that I was!  read more

High Country Week

Notice and Wonder
August 3, 2017

My Ridgerunning walk this week focused on what’s called the High Country of the Mt Rogers Recreation Area in Virginia.  My first night out on Thursday, I camped at a spot I’ve had my eye on while I walked through there other weeks. It’s on Stone Mountain, just south of “The Scales”, an open, grassy field where cattle ranchers would weigh and sell their cattle before driving them down the mountain. The story goes that they realized that the cattle weighed more before they made the descent to town! Now, The Scales is a favorite car camping spot.  I prefer to walk a mile south on the Appalachian Trail, up Stone Mountain, to camp.  There, the grassy, and bushy bald stretches for a mile with expansive views. The low vegetation is broken by groups of short trees, bonsai-like stands of beech trees, just 5″ in diameter and fifteen feet tall. They create inviting rooms of shade, where the wild ponies can cool off.  I walked away from the trail a couple hundred yards and set up my tarp under a sprawling oak tree in a patch of grass.  In the morning, the view across The Scales and the valley below inspired me to take time to do a quick watercolor sketch of  the distant Wilburn Ridge, where the trail would wind its way south. read more


May 28, 2017

I am grateful to my coaches, mentors, and teachers for helping me create Forgivenesswalks!

Colin and Jo Ann Tipping  radicalforgiveness.com
Ladies Who Launch   Ladieswholaunch.com

Laura West     Center for Joyful Business

Wendy Lippard

Ilona Dolinska-Reiser  Wealth Skills

Thea Sheldon  www.theasheldon.com

Bill Baren  www.billbaren.com

Landmark Forum http://www.landmarkworldwide.com/

Here the piece breaks off for data records.
=====
(1)
Computed, not measured: an optimized crystal structure of V2O5 at the PBE with a Hubbard U level of DFT.

a = 12.1364 Å, b = 12.1979 Å, c = 13.0340 Å
α = 94.45°, β = 91.14°, γ = 93.22°
Closest atoms and distances in Å follow each position.
Space group P1 (No. 1)
Asymmetric unit:
V  0.0000  0.0000  0.0000  3 O 1.70-1.85
V  0.0071  0.6902  0.3666  2 O 1.62-1.65
V  0.0159  0.5844  0.1147  4 O 1.68-1.79
V  0.0459  0.3258  0.9738  4 O 1.69-1.80
V  0.0729  0.3369  0.7047  5 O 1.88-2.07
V  0.1198  0.3208  0.2886  3 O 1.61-1.80
V  0.1327  0.0577  0.7697  3 O 1.67-1.79
V  0.1611  0.8307  0.0539  1 O 1.61
V  0.2024  0.1451  0.1073  1 O 1.60
V  0.2724  0.6826  0.8441  2 O 1.62-1.75
V  0.3112  0.5223  0.3380  2 O 1.60-1.78
V  0.3272  0.4078  0.5781  2 O 1.61-1.74
V  0.4094  0.0118  0.5326  1 O 1.61
V  0.4140  0.4640  0.8241  2 O 1.61-1.79
V  0.4263  0.0492  0.7959  3 O 1.70-1.83
V  0.4505  0.7916  0.6782  3 O 1.68-1.75
V  0.5581  0.1634  0.9464  2 O 1.61-1.77
V  0.5734  0.9727  0.3987  4 O 1.69-1.82
V  0.5755  0.5920  0.3232  4 O 1.71-1.78
V  0.6354  0.7343  0.4931  1 O 1.61
V  0.6563  0.9237  0.1509  1 O 1.60
V  0.6776  0.4390  0.7911  3 O 1.61-1.80
V  0.7302  0.6949  0.7126  1 O 1.60
V  0.7379  0.3412  0.4754  2 O 1.61-1.79
V  0.7408  0.6562  0.1346  1 O 1.61
V  0.7966  0.2139  0.6775  4 O 1.67-1.78
V  0.8106  0.1227  0.0140  4 O 1.78-1.87
V  0.8513  0.2519  0.2556  2 O 1.61-1.78
V  0.8796  0.9519  0.6584  2 O 1.61-1.75
V  0.9259  0.5507  0.5888  4 O 1.70-1.79
O  0.0004  0.8640  0.0206  1 V 1.70
O  0.0068  0.4659  0.6498  1 V 1.70
O  0.0280  0.9708  0.7008  2 V 1.79-1.87
O  0.0300  0.2244  0.5518  1 O 1.24
O  0.0327  0.4469  0.0601  2 V 1.79-1.80
O  0.0436  0.5977  0.2453  1 V 1.72
O  0.0788  0.3659  0.8543  1 V 1.72
O  0.0811  0.1444  0.5195  1 O 1.24
O  0.0829  0.0629  0.8911  1 V 1.70
O  0.0952  0.7950  0.3894  1 V 1.62
O  0.0968  0.6746  0.0547  1 V 1.68
O  0.1244  0.3271  0.4125  1 V 1.61
O  0.1310  0.1853  0.7325  1 V 1.67
O  0.1530  0.2507  0.0282  2 V 1.80-1.83
O  0.1561  0.0076  0.0581  1 V 1.80
O  0.1584  0.6112  0.8136  1 V 1.62
O  0.1610  0.1897  0.2367  2 V 1.79-1.82
O  0.2039  0.3742  0.6376  2 V 1.74-1.88
O  0.2168  0.4300  0.2574  2 V 1.80-1.82
O  0.2307  0.8353  0.1608  1 V 1.61
O  0.2474  0.7927  0.9329  2 V 1.75-1.95
O  0.2759  0.6462  0.3296  1 V 1.60
O  0.2802  0.0251  0.7876  2 V 1.78-1.87
O  0.2890  0.0602  0.5279  1 V 1.61
O  0.3151  0.4991  0.4715  2 V 1.78-1.86
O  0.3271  0.3670  0.8528  1 V 1.61
O  0.3345  0.1501  0.1093  1 V 1.60
O  0.3365  0.7128  0.7181  2 V 1.75-1.88
O  0.3738  0.5920  0.8880  2 V 1.81
O  0.3796  0.2959  0.5336  1 V 1.61
O  0.4053  0.8589  0.5783  1 V 1.69
O  0.4127  0.4716  0.6872  2 V 1.79-1.84
O  0.4391  0.9282  0.3932  1 V 1.69
O  0.4502  0.5175  0.2851  2 V 1.77-1.84
O  0.4647  0.1920  0.8417  2 V 1.82-1.83
O  0.4676  0.0613  0.6735  1 V 1.70
O  0.4741  0.8898  0.7748  1 V 1.68
O  0.5057  0.0258  0.9215  2 V 1.77-1.93
O  0.5300  0.2199  0.0580  1 V 1.61
O  0.5364  0.8843  0.1031  1 V 1.60
=====

Anthony Neal

Ellen Britt    http://pinkcoattails.com/

Marnie Marcus   http://marniemarcus.com/unplugged/marketing-consultant/ read more

Gratitude in Advance

May 17, 2017

Huzzah for speaking up for basic services! My “basic economy” ticket on delta left me with a seat “assigned at the gate”. What an uneasy feeling! At 3:30 am local time I called delta saying, “I really want to know that delta cares about me by assuring me that I have a seat before I get to the gate. What would it take to get that?” “Buy a different ticket next time,” Debbie said. “How about for this flight? Can you tell me if the flight’s overbooked? ” She replied, “No, but I’ll check the seating chart. “Wow!”, I said, “Having a seat would really make a big difference for me! I’m feeling like you really care about me!” Well, she found seats for both flights, and changed my status! I now have seats and a boarding pass! Rachel Rossiter Trabelsi, I was thinking of you as I practiced what you helped me learn during my Introduction Leader Program – affirming my value and being grateful in advance. And, Debbie Unterman Deanna Hohnhorst Colin Tipping for creating the Satori board game that helps me practice the words and feelings of New Stories like “I’m worthy to receive what I need”.  I thanked Debbie, then asked if there was someone I could tell about her service. I assured her supervisor that it really helped me to get that service and will now board the flight believing that delta cares about me. That’s my contribution today toward creating a world of generosity and service. Basic Service. Gratitude in advance. read more


I encourage my heartsingers to know their purpose for walking the Appalachian Trail, or any journey! Here’s a good example of a stated purpose that a woman posted in a women’s hiking group. To me, it seems alive with feeling, possibility, and anticipated transformation.

“I live in GA and hike on the AT every chance I get…thru to the Smokies. Even tho Its training…I cant wait to start at Springer an rock out each and every milestone of the trail and my life. Crying, Smiling Laughing…emptying the baggage thats held me back for so long!! I NEED EVERY STEP of 2189 miles to tear me down and rebuild me, from the soles of my feet to the soul of my heart!!”
I would feel incomplete if I didnt go from start to finish…  read more

Town Food

June 12, 2016
I can’t eat what most hikers eat! Here’s what we bought at Food Lion in Front Royal to rejuvenate and celebrate completing our first hundred miles of this trip.

First, we did step one of our three step Don’t- Buy-Too-Much-In-Town plan: go in and buy something to eat right now and leave the store. We bought and devoured:

A banana
Two peaches
Four apricots
Two apples
23 oz. Coconut water

Then, we took step two: go in and look and talk about what to buy (actually, we skipped this step this time, and went right to step three: buy food for the town stop). read more



May  8, 2016

The Park season is waning and I am feeling contented with the idea of working for Forgiveness Walks this summer. Allowing coaching, offering programs and products to be the real job that I do within a nomadic setting, is becoming something I can say casually, matter-of factly.

Money Matters

What will it take to know myself as someone who confidently requests and receives money in exchange for my coaching? Today, I acknowledge my belief that I’m acting as if these statements are true: “It’s not ok to request payment for hiking consultation because others do it free.” AND “It’s silly to think that hiking coaching could be my real job! Ridgerunning is a real job, nature interpreting is a real job, but coaching while hiking can’t be a real job.” read more

Emotions Become Symptoms


What an interesting occurrence! This morning when I immersed myself in my nonsensory energy through sensory tones and colors, I felt drawn to linger, to truly immerse myself in the security and familiarity of the exercise, the vitality of the colors. Is that a characteristic of being 23 days into this practice?

Or that today I really needed the balance and vibrance? As the day unfolded, I succumbed to uncomfortable physical symptoms of headache and nausea, that got worse at work.

I’ve come to recognize these symptoms as my manifestation of suppressed emotions. I was upset and stuffing the feelings. Although I haven’t mastered the art of avoiding the syndrome, I’m willing to acknowledge the emotional nature of it. This time, I caught on early and rearranged the day to go home and rest. read more